Monday, 21 September 2015

Broken Bones And Brackets - A Day In My Life

My husband had an accident last week. He's fine. (well, as fine as a man in pain can be.) He could have snapped his humerus and cracked two ribs while sky-diving, climbing Everest or taking part in a parkour challenge.
Actually, he fell off a ladder. Not very glamorous I know, but nonetheless, I'm informed it's just as painful.

Paul's x-ray

He came home from hospital clutching this impressive x-ray, having been told by the orthopaedic surgeon that he would leave the fracture a week to see what happens! I was intrigued. What might happen? I find myself watching my husband's arm and waiting for some miraculous transformation to take place. Maybe a new arm will sprout; after all, a salamander is capable of regrowing limbs. (I'm not suggesting my husband looks like a lizard, but seeing him sprawled along the settee, I can glimpse a few similarities.) Maybe the bones will realign themselves and fuse back together perfectly (although I'm not holding my breath).

Records of crystals from another source follow =
=====
MgCd: theoretical powder XRD pattern (Cu Kα X-rays), based on a crystal structure in Alexandria, relaxed with GGA-PBE.
No peak broadening, texture or thermal motion is included.

Structural model:
Cell lengths 7.2005, 6.9519, 5.8116 Å; angles 68.01, 63.54, 48.45 degrees
Fractional positions:
Mg1 0.0598 0.6902 0.0598
Mg2 0.3098 0.9402 0.3098
Mg3 0.6902 0.0598 0.6902
Mg4 0.9402 0.3098 0.9402
Cd1 0.1924 0.5576 0.5576
Cd2 0.4424 0.8076 0.8076
Cd3 0.5576 0.1924 0.1924
Cd4 0.8076 0.4424 0.4424

Top 10 peaks for 2θ from 5° to 70°, in order of rising 2θ:
| d_spacing | I/Imax |
| --- | --- |
| 5.167 | 30 |
| 3.455 | 81 |
| 3.224 | 18 |
| 2.885 | 100 |
| 2.629 | 21 |
| 2.428 | 47 |
| 2.086 | 30 |
| 2.040 | 34 |
| 1.794 | 15 |
| 1.754 | 17 |

=====

This entry pairs a crystal structure of PmDyHo3Er with its computed XRD peak list. Radiation: Cu Kα (λ = 1.5418 Å). Structure: the PBE geometry in Alexandria.
Kinematic intensities with the Lorentz-polarization factor, no thermal factor.

Main lines, most intense first (15° ≤ 2θ ≤ 90°):
2theta, I/Imax
32.5, 100
30.9, 89
33.1, 57
33.9, 35
33.3, 32
48.1, 26
57.7, 20
58.7, 19
33.4, 16
60.7, 13

Atomic structure:
abc: 21.934 5.414 6.727
angles: 90.00 97.94 90.00
Space group C2/m (No. 12)
Asymmetric unit:
1 Pm 0.132 0.000 0.473
2 Dy 0.071 0.500 0.168
3 Ho 0.026 0.000 0.774
4 Ho 0.168 0.500 0.777
=====

Broken arm aside, I then took my two dogs for a walk on the village green because due to the hospital visit, they'd missed their morning stroll. Brook found a six foot branch for me to play fetch with. I refused, so she thwacked me on the ankles with this tree limb every time she ran past. She doesn't understand that mass x collision = bruises.

I also passed Marigold in the field. She was giving birth while on all fours. (I hasten to add that Marigold isn't the publican's wife.) She's a cow. (again, I don't mean the publican's wife is...) Moving on.

The calves hooves were protruding, so I hung about to see what would happen. (A bit like the orthopaedic surgeon's take on life.) Meanwhile a handful of hens had decided to make an entrance (not from the cow) and proceeded to walk in a hen-like manner, onto the field. Luckily I had my Brittany spaniel on a lead because she's the Hannibal Lecter of dogs when it comes to small creatures. My Springer is a wimp. I'm sure she wouldn't mind me calling her that because...well, she's too much of a wimp to disagree with me. She's frightened of the wind. She's frightened of snails. She's frightened of her shadow. Little did I know that my wimp had "grown a pair" (as my daughter so succinctly put it when I returned home). She chased these hens (*sigh* not my daughter), making them squawk and flap while the cow pushed and groaned. I was running around in wellies that were a size too big while trying to catch my Springer. This farce ended with two blushing hens with their butts on show, a dog with a mouthful of feathers and a labouring cow who was now stressed and anxious.

The following day I found a safely-delivered calf.

But we can all learn a lesson from this. That is, where to place your punctuation when using brackets! (Neatly done, if I do say so myself.)

Parentheses are words enclosed in brackets, that clarify information given in a sentence.

Example 1: My spaniel (although usually a wimp), chased the hens. In most cases, punctuation isn't used directly before the opening bracket of a sentence, they are placed after the closing bracket.

Example 2: The orthopaedic surgeon decided to leave Paul's arm broken (for over a week). Because the parenthesis ends the sentence, the full stop is placed after the bracket.

Example 3: The hens scrambled back in to the coop to hide their embarrassment. (and I ran home to hide mine.) As the parenthesis is an entire sentence, the full stop is placed inside the brackets. Even though the parenthetical element is a complete sentence, capital letters aren't used at the beginning or a full stop at the end because the element is placed within another complete sentence.